_Work order_
Please reproduce the block further down word for word.

_File_
........
The following is a simulated powder diffraction line list of Hf4BiMo. It was derived from DFT lattice parameters and positions (PBE), using λ = 1.5418 Å (Cu Kα).
Neutral-atom scattering factors, no anomalous dispersion.

Main lines, by angle (5 to 70 degrees two-theta):
31.94 deg, rel. 37
32.54 deg, rel. 55
33.60 deg, rel. 100
35.98 deg, rel. 99
36.86 deg, rel. 31
37.42 deg, rel. 32
38.20 deg, rel. 44
38.67 deg, rel. 48
59.24 deg, rel. 24
69.92 deg, rel. 29

Atomic structure:
```
Hf4BiMo
1.0
4.1477 -6.1782 0.0000
4.1477 6.1782 0.0000
-1.9265 0.0000 5.3062
Hf Bi Mo
8 2 2
direct
0.0663 0.7074 0.9309 Hf
0.1934 0.3709 0.6433 Hf
0.2926 0.9337 0.5691 Hf
0.3709 0.1934 0.1433 Hf
0.6291 0.8066 0.8567 Hf
0.7074 0.0663 0.4309 Hf
0.8066 0.6291 0.3567 Hf
0.9337 0.2926 0.0691 Hf
0.3832 0.6168 0.2500 Bi
0.6168 0.3832 0.7500 Bi
0.0000 0.0000 0.2500 Mo
0.0000 0.0000 0.7500 Mo
```

----------

Record 1
Computed X-ray diffraction stick pattern
Compound: Hf4Zr2Au3N3
Radiation: λ = 1.5418 Å (Cu Kα)
Structure: the PBE geometry in OQMD
Neutral-atom scattering factors, no anomalous dispersion.

Largest 12 diffraction maxima, most intense first, 5 to 70 degrees two-theta:
| d (Å) | 2theta | I/Imax | index |
| --- | --- | --- | --- |
| 2.421 | 37.1 | 100 | 0 2 3 |
| 2.833 | 31.6 | 23 | 3 1 -1 |
| 1.636 | 56.2 | 20 | 6 0 -2 |
| 2.330 | 38.6 | 19 | 0 0 6 |
| 1.355 | 69.3 | 15 | 6 2 -5 |
| 1.363 | 68.9 | 10 | 0 2 9 |
| 1.800 | 50.7 | 10 | 3 1 -7 |
| 1.361 | 69.0 | 6 | 3 1 8 |
| 1.798 | 50.8 | 5 | 3 1 5 |
| 4.874 | 18.2 | 4 | 1 1 0 |
| 4.777 | 18.6 | 3 | 2 0 0 |
| 6.989 | 12.7 | 3 | 0 0 2 |

a b c (Å): 9.814 5.668 14.363
angles (deg): 90.00 103.30 90.00
Space group C2/c (No. 15)
One atom of each set of equivalent atoms:
Hf: 0.112 0.088 0.087 x8
Hf: 0.223 0.082 0.413 x8
Zr: 0.049 0.418 0.905 x8
Au: 0.000 0.056 0.750 x4
Au: 0.180 0.404 0.250 x8
N: 0.085 0.244 0.500 x8
N: 0.250 0.250 0.000 x4

Record 2
Computed X-ray diffraction stick pattern
Compound: NaHfAuSeS2
Radiation: λ = 1.5418 Å (Cu Kα)
Structure: the PBE geometry in OQMD
Neutral-atom scattering factors, no anomalous dispersion.

Largest 12 diffraction maxima, most intense first, 5 to 70 degrees two-theta:
| d (Å) | 2theta | I/Imax | index |
| --- | --- | --- | --- |
| 6.922 | 12.8 | 100 | 0 2 0 |
| 2.803 | 31.9 | 50 | 1 3 1 |
| 2.959 | 30.2 | 33 | 1 1 2 |
| 2.557 | 35.1 | 29 | 0 0 4 |
| 2.103 | 43.0 | 26 | 0 6 2 |
| 2.215 | 40.7 | 21 | 1 3 3 |
| 5.732 | 15.5 | 19 | 0 2 1 |
| 2.914 | 30.7 | 17 | 1 3 0 |
| 2.532 | 35.5 | 17 | 1 3 2 |
| 2.398 | 37.5 | 15 | 0 2 4 |
| 2.229 | 40.5 | 15 | 1 5 0 |
| 1.401 | 66.8 | 14 | 2 6 2 |

a b c (Å): 3.759 13.844 10.227
angles (deg): 90.00 90.00 90.00
Space group Cmcm (No. 63)
One atom of each set of equivalent atoms:
Na: 0.000 0.241 0.250 x4
Hf: 0.000 0.500 0.000 x4
Au: 0.000 0.083 0.750 x4
Se: 0.000 0.427 0.750 x4
S: 0.000 0.127 0.526 x8

Record 3
Computed X-ray diffraction stick pattern
Compound: NaHfTeAuS2
Radiation: λ = 1.5418 Å (Cu Kα)
Structure: the PBE geometry in OQMD
Neutral-atom scattering factors, no anomalous dispersion.

Largest 12 diffraction maxima, most intense first, 5 to 70 degrees two-theta:
| d (Å) | 2theta | I/Imax | index |
| --- | --- | --- | --- |
| 7.160 | 12.4 | 100 | 0 2 0 |
| 2.589 | 34.6 | 42 | 1 3 2 |
| 2.856 | 31.3 | 33 | 1 3 1 |
| 2.656 | 33.7 | 22 | 0 0 4 |
| 3.013 | 29.6 | 19 | 1 1 2 |
| 2.098 | 43.1 | 18 | 1 5 2 |
| 2.490 | 36.1 | 16 | 0 2 4 |
| 2.274 | 39.6 | 12 | 1 3 3 |
| 1.892 | 48.1 | 9 | 2 0 0 |
| 1.727 | 53.0 | 9 | 1 3 5 |
| 1.541 | 60.0 | 9 | 2 0 4 |
| 3.460 | 25.8 | 8 | 1 1 1 |

a b c (Å): 3.785 14.320 10.623
angles (deg): 90.00 90.00 90.00
Space group Cmcm (No. 63)
One atom of each set of equivalent atoms:
Na: 0.000 0.217 0.250 x4
Hf: 0.000 0.000 0.000 x4
Te: 0.000 0.101 0.750 x4
Au: 0.000 0.453 0.750 x4
S: 0.000 0.381 0.543 x8

Record 4
Computed X-ray diffraction stick pattern
Compound: NdHfAu6
Radiation: λ = 1.5418 Å (Cu Kα)
Structure: the PBE geometry in OQMD
Neutral-atom scattering factors, no anomalous dispersion.
........

_Written answer_
The following is a simulated powder diffraction line list of Hf4BiMo. It was derived from DFT lattice parameters and positions (PBE), using λ = 1.5418 Å (Cu Kα).
Neutral-atom scattering factors, no anomalous dispersion.

Main lines, by angle (5 to 70 degrees two-theta):
31.94 deg, rel. 37
32.54 deg, rel. 55
33.60 deg, rel. 100
35.98 deg, rel. 99
36.86 deg, rel. 31
37.42 deg, rel. 32
38.20 deg, rel. 44
38.67 deg, rel. 48
59.24 deg, rel. 24
69.92 deg, rel. 29

Atomic structure:
```
Hf4BiMo
1.0
4.1477 -6.1782 0.0000
4.1477 6.1782 0.0000
-1.9265 0.0000 5.3062
Hf Bi Mo
8 2 2
direct
0.0663 0.7074 0.9309 Hf
0.1934 0.3709 0.6433 Hf
0.2926 0.9337 0.5691 Hf
0.3709 0.1934 0.1433 Hf
0.6291 0.8066 0.8567 Hf
0.7074 0.0663 0.4309 Hf
0.8066 0.6291 0.3567 Hf
0.9337 0.2926 0.0691 Hf
0.3832 0.6168 0.2500 Bi
0.6168 0.3832 0.7500 Bi
0.0000 0.0000 0.2500 Mo
0.0000 0.0000 0.7500 Mo
```

----------

Record 1
Computed X-ray diffraction stick pattern
Compound: Hf4Zr2Au3N3
Radiation: λ = 1.5418 Å (Cu Kα)
Structure: the PBE geometry in OQMD
Neutral-atom scattering factors, no anomalous dispersion.

Largest 12 diffraction maxima, most intense first, 5 to 70 degrees two-theta:
| d (Å) | 2theta | I/Imax | index |
| --- | --- | --- | --- |
| 2.421 | 37.1 | 100 | 0 2 3 |
| 2.833 | 31.6 | 23 | 3 1 -1 |
| 1.636 | 56.2 | 20 | 6 0 -2 |
| 2.330 | 38.6 | 19 | 0 0 6 |
| 1.355 | 69.3 | 15 | 6 2 -5 |
| 1.363 | 68.9 | 10 | 0 2 9 |
| 1.800 | 50.7 | 10 | 3 1 -7 |
| 1.361 | 69.0 | 6 | 3 1 8 |
| 1.798 | 50.8 | 5 | 3 1 5 |
| 4.874 | 18.2 | 4 | 1 1 0 |
| 4.777 | 18.6 | 3 | 2 0 0 |
| 6.989 | 12.7 | 3 | 0 0 2 |

a b c (Å): 9.814 5.668 14.363
angles (deg): 90.00 103.30 90.00
Space group C2/c (No. 15)
One atom of each set of equivalent atoms:
Hf: 0.112 0.088 0.087 x8
Hf: 0.223 0.082 0.413 x8
Zr: 0.049 0.418 0.905 x8
Au: 0.000 0.056 0.750 x4
Au: 0.180 0.404 0.250 x8
N: 0.085 0.244 0.500 x8
N: 0.250 0.250 0.000 x4

Record 2
Computed X-ray diffraction stick pattern
Compound: NaHfAuSeS2
Radiation: λ = 1.5418 Å (Cu Kα)
Structure: the PBE geometry in OQMD
Neutral-atom scattering factors, no anomalous dispersion.

Largest 12 diffraction maxima, most intense first, 5 to 70 degrees two-theta:
| d (Å) | 2theta | I/Imax | index |
| --- | --- | --- | --- |
| 6.922 | 12.8 | 100 | 0 2 0 |
| 2.803 | 31.9 | 50 | 1 3 1 |
| 2.959 | 30.2 | 33 | 1 1 2 |
| 2.557 | 35.1 | 29 | 0 0 4 |
| 2.103 | 43.0 | 26 | 0 6 2 |
| 2.215 | 40.7 | 21 | 1 3 3 |
| 5.732 | 15.5 | 19 | 0 2 1 |
| 2.914 | 30.7 | 17 | 1 3 0 |
| 2.532 | 35.5 | 17 | 1 3 2 |
| 2.398 | 37.5 | 15 | 0 2 4 |
| 2.229 | 40.5 | 15 | 1 5 0 |
| 1.401 | 66.8 | 14 | 2 6 2 |

a b c (Å): 3.759 13.844 10.227
angles (deg): 90.00 90.00 90.00
Space group Cmcm (No. 63)
One atom of each set of equivalent atoms:
Na: 0.000 0.241 0.250 x4
Hf: 0.000 0.500 0.000 x4
Au: 0.000 0.083 0.750 x4
Se: 0.000 0.427 0.750 x4
S: 0.000 0.127 0.526 x8

Record 3
Computed X-ray diffraction stick pattern
Compound: NaHfTeAuS2
Radiation: λ = 1.5418 Å (Cu Kα)
Structure: the PBE geometry in OQMD
Neutral-atom scattering factors, no anomalous dispersion.

Largest 12 diffraction maxima, most intense first, 5 to 70 degrees two-theta:
| d (Å) | 2theta | I/Imax | index |
| --- | --- | --- | --- |
| 7.160 | 12.4 | 100 | 0 2 0 |
| 2.589 | 34.6 | 42 | 1 3 2 |
| 2.856 | 31.3 | 33 | 1 3 1 |
| 2.656 | 33.7 | 22 | 0 0 4 |
| 3.013 | 29.6 | 19 | 1 1 2 |
| 2.098 | 43.1 | 18 | 1 5 2 |
| 2.490 | 36.1 | 16 | 0 2 4 |
| 2.274 | 39.6 | 12 | 1 3 3 |
| 1.892 | 48.1 | 9 | 2 0 0 |
| 1.727 | 53.0 | 9 | 1 3 5 |
| 1.541 | 60.0 | 9 | 2 0 4 |
| 3.460 | 25.8 | 8 | 1 1 1 |

a b c (Å): 3.785 14.320 10.623
angles (deg): 90.00 90.00 90.00
Space group Cmcm (No. 63)
One atom of each set of equivalent atoms:
Na: 0.000 0.217 0.250 x4
Hf: 0.000 0.000 0.000 x4
Te: 0.000 0.101 0.750 x4
Au: 0.000 0.453 0.750 x4
S: 0.000 0.381 0.543 x8

Record 4
Computed X-ray diffraction stick pattern
Compound: NdHfAu6
Radiation: λ = 1.5418 Å (Cu Kα)
Structure: the PBE geometry in OQMD
Neutral-atom scattering factors, no anomalous dispersion.